How do you find the $$ for Child Care at Scientific Meetings

Yesterday, between book chapters (and right now you all are probably asking yourselves what the hell I’m doing BLOGGING), I had the opportunity to attend a wonderful seminar given by a scientist whose work was highly influential in my graduate career- and that was really enjoyable. But going to seminar has other great benefits besides hearing someone you totally admire talk about their great science.  Primary among these benefits, of course, is running into colleagues who normally inhabit other parts of campus, that you really really REALLY need to talk to.

I saw one such colleague come into the seminar and was only too happy to have a lengthy conversation with him at the reception after the seminar. Said colleague is trying shamelessly to entice me into coming to a particular meeting later this year (he’s organizing)…and I get the feeling he’s trying to recruit a few other scientists who happen to be young women with children as well. Our conversation took an interesting turn when he mentioned that he would like to be able to set aside resources, and find funding sources, to be able to provide child care for this meeting. We all know that women still provide the majority of child care, and this can be a barrier keeping women with families from attending scientific meetings- right?

Although I have two children, I do not take them to meetings with me. For me this is a purely personal decision, I have difficulty focusing on meeting material when I’m multitasking kids on site, and now they are school age anyway so we can’t just pull them out of school whenever we feel the urge. I emphasize that this is just my personal preference though, for those of you that choose to take your children with you to meetings, I support your decision.  Now, with that said- leaving the kids at home with DrMrA does put a pretty strict lock on his hours while I am away…. and it would be great to get him a few hours of child care support when I am away. This restriction on the other working care giver’s schedule, in addition to just not wanting to be away from the kids too much, limits the amount of traveling that I do in a given year.

As for what I have seen available for child care at meetings, the large society meeting that I attend has a child care option built in, but I haven’t been able to figure out from the preliminary program whether there is an extra fee for this. I don’t recall that any of the smaller meetings that I have attended have offered any child care, or assistance finding child care, or financial assistance to defray the cost of child care.

So here is the question,  if you want to encourage women in science who happen to have kids to participate in scientific meetings, what can you do to address child care issues that might otherwise keep them away? Throwing money at the issue is a good way, I think- it allows women (and yes, whimple, all people with kids- but let’s agree that women are generally disproportionately affected) at least to lower the barrier on this issue. If you were organizing a meeting and providing funds to defray the cost of child care to attendees with children  is your chosen avenue to remedy- how do you come up with the $$ to fund such an effort? Secondly, if you are the organizer of a small meeting- how do you fairly distribute these funds, and how far do you go in setting up child care arrangements (i.e. do you have an organized child care on site, or do you simply provide funds to allow individuals maximum freedom to set up their own arrangements)?

Two Thumbs Up on Science Online 2010!

I’m on the plane home from Science Online 2010. Can I just say- that meeting was TOTALLY EXCELLENT. I usually attend meetings in my field that are all seriously hardcore science, seriously 24/7.  I mean seriously. So this was a totally different population and a set of subject matter than my usual meeting fare.

What did I love about and learn from #Scio10? Best just to make a list, in no particular order:

1. First, I met such an interesting mix of people. There were science journalists, editors, scientists, bloggers, scientist bloggers (like myself), librarians, programmers and computer geeks (I say that with the utmost affection from one geek to another) and folks that run large blog and publishing networks. I would never encounter such a diverse group with divergent but widely overlapping interests in these areas anywhere else. (and my apologies to anyone who I failed to mention).

2.   Second, electronic media is changing scholarly publishing, peer review will not go away (nor should it) but the speed of things will change where necessary (see Plos Currents beta Influenza), and so will the discussion that comes after an article – incorporating blogs, twitter, friendfeed etc, as will the metrics by which scientific articles and the prestige of scientific journals is evaluated to include the many many new communication methods now available. PloS One  seems to be leading the charge on this one with article level metrics ….and at the risk of being a groupie, I heart Peter Binfield and Jonathan Eisen.  (and the rest of PLoS too, cool visualizations of PLoS ALM data by Mike Chelen to be found here)

3.  Third, electronic media is hitting basic science like a tidal wave.  I’d bet you $100 that I’m the only one that blogs, uses twitter, that sees the utility in Google groups and other fun Google stuff like Google reader, and that uses Facebook in my department (well, that’s actually a lie – one of my close colleagues uses FB as well). BUT my eyes were opened at this meeting to the fact that I am barely scratching the surface of what is already available, and what is possible.  I nearly leapt from my chair during John Hogenesh’s talk about cloud computing and its application to genomic work.  My community of scientists is going to have to deal with their discomfort of new technology and start learning how to swim here-… or they will get left behind on the beach.

4.  Fourth, can I just say- I’ve got a little hero worship thing going on with those PLoS guys.

5.  Fifth- Like I said up there, I’m the only one I know in my current scientific environment that uses twitter- but using hashtags to tweet a meeting… is quite a remarkable thing. Especially when you are doing this with a meeting full of 250 odd people who are totally and completely comfortable with twitter, the sheer volume of tweets was quite incredible. I loved seeing what was going on in sessions that I wasn’t in this way. Go to twitter and search hashtag: #scio10, and you will see just exactly what I mean.  That Janet Stemwedel is a tweeting machine. Out.Of.Control.

6.  Sixth- You know I blog- but most people at my institution don’t and many times we don’t even speak the same language when it comes to electronic communication methods, and sometimes this can be a little isolating. A person can get a lot of shit for blogging while on the tenure track… ’cause, you know, it takes time away from the pursuit of real science, the production of papers and grants (as so hilariously detailed in Dr. Stemwedel’s ignite talk).  But this going to this conference, and meeting many, many of the bloggers whose fine work I read daily (Isis, Pal, Sci, Janet, Zuska, Abel, Sheril and others I’m not sure I can name on blog, but you know who you are), and talking to struggling graduate students, made me realize that not only do people actually read what I write – but maybe from time to time what I write puts something useful out into the blogosphere that others coming behind me might learn from. I think that maybe for the first time I appreciated my own role in the diverse chorus of voices that are out there blogging about similar issues.

7. Seventh- see all those bloggers I list up there- they are awesome as real people as they are in the blogosphere, as are those I did not name. I’m humbled to be part of this community.

8.  Finally, the meeting itself was exquisitely organized, orchestrated, and executed.  Hats off to Bora Zivkovic and Anton Zuiker, and the army of others and volunteers that was undoubtedly helping them out, for accomplishing this Herculean task and labor of love.

I’m sure there is more, but that is all for the moment…

Oh, and,… I did NOT partake of the motherfucking Jameson, although it was being served. Perhaps I’ll have the opportunity in 2011?!

(sorry for the double post, I forgot to add a couple of IMPORTANT links in the first round!)

Conversation Killer

Does this ever happen to you?  I was at a meeting recently and I was walking around one of those infernal mixer type deals, that they always have at these things, chatting with people.  And for the most part, that was all fine, and I’m usually quite comfortable with the random chit chat and walking up to complete strangers and starting a conversation about projects, or some other mutually interesting topic.

But then I had one of those weird socially awkward moments. I walked up to a good friend (a man), who was standing with a big group of men, senior in my field, that I had not previously been introduced to. My friend was lovely, and he introduced me to all the other men in the group one by one.  Then, all the group conversation totally stopped DEAD. I felt incredibly awkward- it was as if I didn’t know the secret handshake or the men had to use some other language to deal with me. I suppose this incident sticks out in my head because I was the only woman in the group, and junior in the field.

When I think about this incident though, I realize that it isn’t all that rare in my existence. I have a few male colleagues who, when we are together in a ratio of men:women >1, converse amongst themselves. I somehow just can’t seem to get my foot through the door and open up the conversation. The thing that always kind of shocks me when this stuff happens, is that I am one of the more outgoing and socially comfortable people that I know  (not to mention just plain loud– a couple of you regular readers out there who know me have SEEN me in action). I’m left trying to figure out why this happens: Is it specific to the personalities involved? Is it a gender thing- do men in a large group related differently to each other than the do to a woman in the group? Is it a junior career stage thing- that the senior guys talk around your head as though you are not really to be reckoned with? Is it a little of all of that?

This kind of thing might seem like a little, unimportant thing  to you, but I spend, probably 95% of my professional existence in groups where I am the only woman (or one of a very small handful), and it is awful that science conversation comes to a dead halt for me in these situations.

Becoming an Ally

A couple of years ago I wrote a post about a lot of cryin’ on the part of senior male faculty about the rate at which their young female grad students were dropping out of science after finishing  their Ph.D.s., coupled with an inability on the part of said faculty to educate themselves to recognize the reasons behind this phenomenon. In private, I did my best to provide the resources to these potential allies so that they might better understand this leaky pipeline… and on this blog, I implored said faculty to get off their asses and do something about that… think outside the box, become an ALLY. I offered a few suggestions, …. turns out you don’t even have to think very far outside the box.

This week I received an email from a colleague, it read:

Dear DrdrA:

I am organizing XYZ meeting, and I was wondering if you could help me out. I was looking over the schedules from previous XYZ meetings, and I was struck by the fact that the list of keynote speakers looked like this:

2008   Great Scientist, White Guy, Ph.D.

2007  Great Scientist, White Guy, Ph.D.

2006  Great Scientist, White Guy, Ph.D.

2005  Great Scientist, White Guy, Ph.D.

2004  Great Scientist, White Guy, Ph.D.

2003  Great Scientist, White Guy, Ph.D.

2002  Great Scientist, White Guy, Ph.D.

2001  Great Scientist, White Guy, Ph.D.

2000  Great Scientist, White Guy, Ph.D.

1999  Great Scientist, White Guy, Ph.D.

1998  Great Scientist, Woman, Ph.D.

1997  Great Scientist, White Guy, Ph.D.

1996  Great Scientist, White Guy, Ph.D.

I am sure you can appreciate the paucity of women and minority keynote speakers at past XYZ meetings, and that is so obviously wrong.  I wonder if you could help me identify some great women and minority candidates who might be interested in giving the keynote talk at this meeting.

Thanks for all your help!

Senior Faculty Ally.

HOLY COW!! I couldn’t make up that list fast enough.

I’m totally thrilled that this colleague looked at the data, realized the overwhelming bias in favor of white guys (no offense to you white guys), thought about it, and took the next step to try to even out the balance. So, to add to my previous list of all the ways to encourage young women to stay in science… how about choosing EXCELLENT WOMEN SCIENTISTS and EXCELLENT MINORITY SCIENTISTS as your keynote speakers from time to time. And for all you women (and/or) minority scientists out there, how about making a mental or actual list of excellent women and/or minorities in your field that might be keynote speaker candidates… so that when an ally asks for your assistance, you are ready.

I Hate Journal Club

## These data records were left in the text by mistake
<<<
1.
{
  "formula": "C41H73BrN8O5P",
  "method": "ωB97M-V/def2-TZVPD",
  "largest_force_ev_per_a": 10.56,
  "total_charge": 1,
  "orbital_gap_ev": 8.77,
  "homo_ev": -11.67,
  "energy_ha": -5334.6628,
  "elements": ["Br", "P", "O", "O", "O", "O", "O", "N", "N", "N", "N", "N", "N", "N", "N", "C", "C", "C", "C", "C", "C", "C", "C", "C", "C", "C", "C", "C", "C", "C", "C", "C", "C", "C", "C", "C", "C", "C", "C", "C", "C", "C", "C", "C", "C", "C", "C", "C", "C", "C", "C", "C", "C", "C", "C", "C", "H", "H", "H", "H", "H", "H", "H", "H", "H", "H", "H", "H", "H", "H", "H", "H", "H", "H", "H", "H", "H", "H", "H", "H", "H", "H", "H", "H", "H", "H", "H", "H", "H", "H", "H", "H", "H", "H", "H", "H", "H", "H", "H", "H", "H", "H", "H", "H", "H", "H", "H", "H", "H", "H", "H", "H", "H", "H", "H", "H", "H", "H", "H", "H", "H", "H", "H", "H", "H", "H", "H", "H", "H"],
>>>
## End of the data records

Not really. I just don’t like what journal club has become. It has become a boring recitation of a paper. Period.

Without any general overview of the subject and context from other related literature.

Without any enthusiasm for the subject, or understanding whether or why the topic is important.

Without explanation of important terminology and jargon- indeed sometimes without the understanding of the presenter of what the jargon means.

Without participation and discussion from the non-faculty in the audience.

Without the audience coming prepared by reading the paper… and gosh, we don’t even have to go to the library and photocopy it ourselves anymore.

I’m sick to death of it, and I’m not taking it anymore.

First, for all of you that are making an effort, I applaud you. Seriously. This goes for presenters and active participants alike. It is tough to get up there in front of an audience and present something that maybe isn’t your primary area of interest, give the background, learn the jargon- explain someone else’s work in a coherent and constructively critical way. You are only at the beginning of your training, your business is going include doing some permutation of these tasks every single day of your research career. Good on you for embracing this opportunity.

Second, for those of you that just show up- you have taken the first step and I applaud you for that- but journal club is yours to improve and learn from. You need to take the next steps now- READ the paper and ASK QUESTIONS.  Now don’t even tell me you were too busy to read the paper- you won’t find any sympathy from me on this one. I’ll bet you a million bucks that you and I don’t even measure busy on the same scale, and I read the paper in advance, and I looked up the jargon. This REALLY is not that time consuming, you could probably fit it in between PCR reactions.

Third- there is this issue of participation. I know you all are frightened to look like fools in front of the rest of the audience- but you are going to have to get over this one. Journal club is a fairly friendly, audience restricted venue- if you can’t test your participation skills here- where the hell can you test them?? At a Gordon Conference… or maybe at a Cold Spring Harbor meeting…?  Trust me on this one and test the waters of active participation at journal club at your home institution in a more limited venue.

And what is the absolute worst that can happen if you do participate?? You could get slapped down once or twice?! I KNOW that this is hard, and it feels bad… but I promise you that it is extremely likely that tomorrow no one except you will remember whatever thing you said- and you’ll be one question closer to confidence in this area.

Finally- don’t do this because you ‘have to’ or because I told you to. Show some intellectual curiosity about your chosen field…

Meeting etiquette #1

Just a few short points. You guys probably have some others.

1.  Be social, no matter how hard it is for you- give it a shot, that is what meetings are for- and it gets the networking thing going.

2.  When you walk up to someone you know and they are standing with someone else and chatting- don’t just barge right into the conversation and completely interrupt the person who is speaking.

3.  When you walk up to someone you know, and they are standing with someone else and chatting, address both people- even if you don’t know one of them- stick out your hand and introduce yourself. You might make a new friend!

4.  If you are a speaker- giving a presentation in front of your special subgroup of 200 … don’t forget to cite important people and their contributions to your project and techniques pioneered by others. This is just bad form. You either look like you don’t know the literature, or you look like a jerk for not citing someone who is probably in the audience.

5. Oh, and if you see me at a meeting and you read my blog- I think that’s excellent- but only tell me about it privately, K? Assume that I’ve got a pseudonym for a reason…

You guys- pile on, I’m sure you have some others to add!

p.s. I something no self-respecting French person would do today- I ate a meal walking down the street. I’m supposed to be enjoying the civilized ways of the French- …. hopefully I’ll figure this out.

Drive By Character Assassination

Ambivalent Academic put up a terrific post yesterday on witnessing a public character assassination at a recent meeting she attended. The scenario is basically this, after giving a presentation at a meeting a junior female speaker is called a liar in front of her entire field by an established senior man in the field.  You can dress it up any way you like it- but that’s the nuts and bolts of what happened. Continue reading

Decisions, Decisions

The lack of new postings on this site has been noticed by my friends.  So, now that I’m done with the two grants… I shall pick this up again.. here goes:

I was invited to speak at a meeting… which is exciting.  But- here’s the thing- the meeting is only most peripherally related to my area of interest. It is very unlikely that anyone in my field (even the broader field) will be at this meeting. I have looked at the other sessions, and the poster sessions- and I can see about 1 presentation that might be interesting to me.  So- I thought I would arrive the day before the talk, give the talk the next morning- and be on the plane in the afternoon. That was all cool with me.

Earlier today I was on the meeting site doing the registration… and I saw that the registration fee for this meeting is $700. Continue reading

Meeting invigoration and exhaustion.

So, we are in the home stretch… the final evening of the meeting that I am currently attending. It’s a small meeting- all the right players are here. For me it has been alternately up and down, in my current state I am alternately very enthusiastic about science, and depressed by the sad state of funding etc etc. These sentiments seems to reflect the mood of many of the attendees however. Stories of everyone else’s Continue reading